Now work out how many lines further down have the word "The" in them; a number is enough.
- - -
Compound: Th6TlHg2
Source: Alexandria via LeMat-Bulk
Functional: PBE
Structure: optimized geometry

As for the formation energy: -0.06 eV per atom. The total energy is -5.3367 eV/atom. The calculation puts the total magnetization at 0.000 μB per atom. The density of states at the Fermi level is 19.97 states/eV per cell.

The space group is C2/m (No. 12) and the conventional cell measures 11.377, 4.958 and 10.442 Å, with angles of 90.00, 114.73 and 90.00 degrees. The inequivalent atoms are Th at (0.029, 0.000, 0.348), Th at (0.157, 0.500, 0.893), Th at (0.181, 0.500, 0.233), Tl at (0.000, 0.000, 0.000) and Hg at (0.150, 0.500, 0.569).

Compound: Th2TlHg
Source: Alexandria via LeMat-Bulk
Functional: PBE
Structure: optimized geometry

As for the formation energy: -0.18 eV per atom. The total energy is -4.5570 eV/atom. The calculation puts the total magnetization at 0.000 μB per atom. The density of states at the Fermi level is 3.85 states/eV per cell.

The space group is P4/mmm (No. 123) and the conventional cell measures 4.924, 4.924 and 4.648 Å, with angles of 90.00, 90.00 and 90.00 degrees. The inequivalent atoms are Th at (0.000, 0.500, 0.000), Tl at (0.000, 0.000, 0.500) and Hg at (0.500, 0.500, 0.500).

Compound: Th2TlHg
Source: Alexandria via LeMat-Bulk
Functional: PBE
Structure: optimized geometry

As for the formation energy: -0.18 eV per atom. The total energy is -4.5606 eV/atom. The calculation puts the total magnetization at 0.001 μB per atom. The density of states at the Fermi level is 5.58 states/eV per cell.

The space group is P4/mmm (No. 123) and the conventional cell measures 3.508, 3.508 and 9.184 Å, with angles of 90.00, 90.00 and 90.00 degrees. The inequivalent atoms are Th at (0.000, 0.000, 0.244), Tl at (0.500, 0.500, 0.500) and Hg at (0.500, 0.500, 0.000).

Repeat the third record exactly.
Compound: Th2TlHg
Source: Alexandria via LeMat-Bulk
Functional: PBE
Structure: optimized geometry

As for the formation energy: -0.18 eV per atom. The total energy is -4.5606 eV/atom. The calculation puts the total magnetization at 0.001 μB per atom. The density of states at the Fermi level is 5.58 states/eV per cell.

The space group is P4/mmm (No. 123) and the conventional cell measures 3.508, 3.508 and 9.184 Å, with angles of 90.00, 90.00 and 90.00 degrees. The inequivalent atoms are Th at (0.000, 0.000, 0.244), Tl at (0.500, 0.500, 0.500) and Hg at (0.500, 0.500, 0.000).

* * * * *

# GGA-PBE BaMg2Ga, relaxed
data_BaMg2Ga
_chemical_formula_sum 'Ba4 Mg8 Ga4'
_cell_length_a 7.546
_cell_length_b 7.546
_cell_length_c 7.546
_cell_angle_alpha 90.00
_cell_angle_beta 90.00
_cell_angle_gamma 90.00
_space_group_name_H-M_alt 'F m -3 m'
_space_group_IT_number 225
_space_group_name_Hall '-F 4 2 3'
loop_
_atom_site_label
_atom_site_type_symbol
_atom_site_fract_x
_atom_site_fract_y
_atom_site_fract_z
Ba1 Ba 0.000 0.000 0.000
Mg1 Mg 0.250 0.250 0.250
Ga1 Ga 0.000 0.000 0.500
# - DFT total energy: -2.084 eV/atom
# - Theoretical density: 3.95 Mg/m³
# - Energy of formation: -50 meV/atom
# - Density of states at the Fermi level: 6.46 states/eV/cell


# GGA-PBE Ba7Mg2Ga2, relaxed
data_Ba7Mg2Ga2
_chemical_formula_sum 'Ba14 Mg4 Ga4'
_cell_length_a 8.568
_cell_length_b 12.329
_cell_length_c 9.520
_cell_angle_alpha 90.00
_cell_angle_beta 90.00
_cell_angle_gamma 90.00
_space_group_name_H-M_alt 'C m m m'
_space_group_IT_number 65
_space_group_name_Hall '-C 2 2'
loop_
_atom_site_label
_atom_site_type_symbol
_atom_site_fract_x
_atom_site_fract_y
_atom_site_fract_z
Ba1 Ba 0.000 0.000 0.000
Ba2 Ba 0.000 0.500 0.321
Ba3 Ba 0.250 0.250 0.293
Mg1 Mg 0.000 0.354 0.000
Ga1 Ga 0.147 0.000 0.500
# - DFT total energy: -2.046 eV/atom
# - Theoretical density: 3.80 Mg/m³
# - Energy of formation: 18 meV/atom
# - Density of states at the Fermi level: 22.04 states/eV/cell


# GGA-PBE Ba2MgGa, relaxed
data_Ba2MgGa
_chemical_formula_sum 'Ba2 Mg1 Ga1'
_cell_length_a 4.156
_cell_length_b 4.156
_cell_length_c 8.756
_cell_angle_alpha 90.00
_cell_angle_beta 90.00
- - -
8